Wanted
Next, restate the lines further down with every line break kept.

Listing
<<<
# 1
Simulated powder X-ray diffraction pattern
Compound: ZnGa2Br4
Radiation: Cu Kα (λ = 1.5418 Å)
Structure: a DFT-relaxed cell (PBE, Alexandria)
No peak broadening, texture or thermal motion is included.

Peak list (10 most intense, 10 to 90 degrees two-theta, sorted by position)
- 2θ 15.2, I 39
- 2θ 23.5, I 46
- 2θ 24.0, I 37
- 2θ 25.7, I 88
- 2θ 27.2, I 71
- 2θ 34.1, I 100
- 2θ 38.0, I 39
- 2θ 41.2, I 66
- 2θ 45.1, I 42
- 2θ 46.0, I 24

Cell and atoms:
Cell lengths 14.8446, 9.4787, 6.9841 Å; angles 90.00, 90.00, 90.00 degrees
Fractional coordinates of all 28 atoms:
Zn (0.0921, 0.2500, 0.1003)
Zn (0.4079, 0.7500, 0.6003)
Zn (0.5921, 0.2500, 0.3997)
Zn (0.9079, 0.7500, 0.8997)
Ga (0.0000, 0.0000, 0.5000)
Ga (0.0000, 0.5000, 0.5000)
Ga (0.2323, 0.7500, 0.0163)
Ga (0.2677, 0.2500, 0.5163)
Ga (0.5000, 0.0000, 0.0000)
Ga (0.5000, 0.5000, 0.0000)
Ga (0.7323, 0.7500, 0.4837)
Ga (0.7677, 0.2500, 0.9837)
Br (0.0612, 0.7500, 0.7624)
Br (0.0825, 0.2500, 0.7539)
Br (0.1716, 0.0466, 0.2361)
Br (0.1716, 0.4534, 0.2361)
Br (0.3284, 0.5466, 0.7361)
Br (0.3284, 0.9534, 0.7361)
Br (0.4175, 0.7500, 0.2539)
Br (0.4388, 0.2500, 0.2624)
Br (0.5612, 0.7500, 0.7376)
Br (0.5825, 0.2500, 0.7461)
Br (0.6716, 0.0466, 0.2639)
Br (0.6716, 0.4534, 0.2639)
Br (0.8284, 0.5466, 0.7639)
Br (0.8284, 0.9534, 0.7639)
Br (0.9175, 0.7500, 0.2461)
Br (0.9388, 0.2500, 0.2376)


# 2
Simulated powder X-ray diffraction pattern
Compound: ZnGa2Br4
Radiation: Cu Kα (λ = 1.5418 Å)
Structure: a DFT-relaxed cell (PBE, Alexandria)
No peak broadening, texture or thermal motion is included.

Peak list (10 most intense, 10 to 90 degrees two-theta, sorted by position)
- 2θ 11.8, I 21
- 2θ 23.7, I 25
- 2θ 26.5, I 31
- 2θ 33.7, I 100
- 2θ 34.4, I 23
- 2θ 36.0, I 18
- 2θ 48.4, I 22
- 2θ 48.9, I 16
- 2θ 50.1, I 27
- 2θ 61.8, I 14

Cell and atoms:
Cell lengths 5.3194, 5.3194, 14.9787 Å; angles 90.00, 90.00, 90.00 degrees
Fractional coordinates of all 14 atoms:
Zn (0.0000, 0.0000, 0.0000)
Zn (0.5000, 0.5000, 0.5000)
Ga (0.0000, 0.0000, 0.3655)
Ga (0.0000, 0.0000, 0.6345)
Ga (0.5000, 0.5000, 0.1345)
Ga (0.5000, 0.5000, 0.8655)
Br (0.0000, 0.0000, 0.1706)
Br (0.0000, 0.0000, 0.8294)
Br (0.0000, 0.5000, 0.0000)
Br (0.0000, 0.5000, 0.5000)
Br (0.5000, 0.0000, 0.0000)
Br (0.5000, 0.0000, 0.5000)
Br (0.5000, 0.5000, 0.3294)
Br (0.5000, 0.5000, 0.6706)


# 3
Simulated powder X-ray diffraction pattern
Compound: ZnGaBr3
Radiation: Cu Kα (λ = 1.5418 Å)
Structure: a DFT-relaxed cell (PBE, Alexandria)
No peak broadening, texture or thermal motion is included.

Peak list (10 most intense, 10 to 90 degrees two-theta, sorted by position)
- 2θ 14.1, I 78
- 2θ 22.0, I 26
- 2θ 25.6, I 53
- 2θ 26.0, I 37
- 2θ 27.6, I 100
- 2θ 31.1, I 29
- 2θ 33.8, I 30
- 2θ 37.1, I 34
- 2θ 44.4, I 30
- 2θ 46.8, I 51

Cell and atoms:
Cell lengths 4.0808, 12.9963, 12.9963 Å; angles 149.39, 90.00, 90.00 degrees
Fractional coordinates of all 10 atoms:
Zn (0.2500, 0.1147, 0.8853)
Zn (0.7500, 0.8853, 0.1147)
Ga (0.2500, 0.3767, 0.7199)
Ga (0.7500, 0.7199, 0.3767)
Br (0.2500, 0.0823, 0.6714)
Br (0.2500, 0.4406, 0.2438)
Br (0.2500, 0.7735, 0.9194)
Br (0.7500, 0.2438, 0.4406)
Br (0.7500, 0.6714, 0.0823)
Br (0.7500, 0.9194, 0.7735)

=====

1.
Diffraction record for NdHf2Sc6. The powder XRD pattern is computed, not measured: it uses the GGA-PBE geometry in Alexandria and Cu Kα X-rays.
Neutral-atom scattering factors, no anomalous dispersion.

Top 10 peaks for 10° ≤ 2θ ≤ 80°, by angle:
2θ 11.05, I = 100; 2θ 31.32, I = 32; 2θ 32.22, I = 24; 2θ 33.31, I = 24; 2θ 33.57, I = 31; 2θ 34.78, I = 57; 2θ 36.60, I = 46; 2θ 38.73, I = 25; 2θ 55.75, I = 23; 2θ 66.67, I = 24

Atomic structure:
```
NdHf2Sc6
1.0
3.298 0.000 0.000
-1.649 2.856 0.000
0.000 0.000 24.028
Nd Hf Sc
1 2 6
direct
0.000 0.000 0.000
0.667 0.333 0.334
0.667 0.333 0.666
0.000 0.000 0.230
0.000 0.000 0.436
0.000 0.000 0.564
0.000 0.000 0.770
0.667 0.333 0.121
0.667 0.333 0.879
```



2.
>>>

Solution
# 1
Simulated powder X-ray diffraction pattern
Compound: ZnGa2Br4
Radiation: Cu Kα (λ = 1.5418 Å)
Structure: a DFT-relaxed cell (PBE, Alexandria)
No peak broadening, texture or thermal motion is included.

Peak list (10 most intense, 10 to 90 degrees two-theta, sorted by position)
- 2θ 15.2, I 39
- 2θ 23.5, I 46
- 2θ 24.0, I 37
- 2θ 25.7, I 88
- 2θ 27.2, I 71
- 2θ 34.1, I 100
- 2θ 38.0, I 39
- 2θ 41.2, I 66
- 2θ 45.1, I 42
- 2θ 46.0, I 24

Cell and atoms:
Cell lengths 14.8446, 9.4787, 6.9841 Å; angles 90.00, 90.00, 90.00 degrees
Fractional coordinates of all 28 atoms:
Zn (0.0921, 0.2500, 0.1003)
Zn (0.4079, 0.7500, 0.6003)
Zn (0.5921, 0.2500, 0.3997)
Zn (0.9079, 0.7500, 0.8997)
Ga (0.0000, 0.0000, 0.5000)
Ga (0.0000, 0.5000, 0.5000)
Ga (0.2323, 0.7500, 0.0163)
Ga (0.2677, 0.2500, 0.5163)
Ga (0.5000, 0.0000, 0.0000)
Ga (0.5000, 0.5000, 0.0000)
Ga (0.7323, 0.7500, 0.4837)
Ga (0.7677, 0.2500, 0.9837)
Br (0.0612, 0.7500, 0.7624)
Br (0.0825, 0.2500, 0.7539)
Br (0.1716, 0.0466, 0.2361)
Br (0.1716, 0.4534, 0.2361)
Br (0.3284, 0.5466, 0.7361)
Br (0.3284, 0.9534, 0.7361)
Br (0.4175, 0.7500, 0.2539)
Br (0.4388, 0.2500, 0.2624)
Br (0.5612, 0.7500, 0.7376)
Br (0.5825, 0.2500, 0.7461)
Br (0.6716, 0.0466, 0.2639)
Br (0.6716, 0.4534, 0.2639)
Br (0.8284, 0.5466, 0.7639)
Br (0.8284, 0.9534, 0.7639)
Br (0.9175, 0.7500, 0.2461)
Br (0.9388, 0.2500, 0.2376)


# 2
Simulated powder X-ray diffraction pattern
Compound: ZnGa2Br4
Radiation: Cu Kα (λ = 1.5418 Å)
Structure: a DFT-relaxed cell (PBE, Alexandria)
No peak broadening, texture or thermal motion is included.

Peak list (10 most intense, 10 to 90 degrees two-theta, sorted by position)
- 2θ 11.8, I 21
- 2θ 23.7, I 25
- 2θ 26.5, I 31
- 2θ 33.7, I 100
- 2θ 34.4, I 23
- 2θ 36.0, I 18
- 2θ 48.4, I 22
- 2θ 48.9, I 16
- 2θ 50.1, I 27
- 2θ 61.8, I 14

Cell and atoms:
Cell lengths 5.3194, 5.3194, 14.9787 Å; angles 90.00, 90.00, 90.00 degrees
Fractional coordinates of all 14 atoms:
Zn (0.0000, 0.0000, 0.0000)
Zn (0.5000, 0.5000, 0.5000)
Ga (0.0000, 0.0000, 0.3655)
Ga (0.0000, 0.0000, 0.6345)
Ga (0.5000, 0.5000, 0.1345)
Ga (0.5000, 0.5000, 0.8655)
Br (0.0000, 0.0000, 0.1706)
Br (0.0000, 0.0000, 0.8294)
Br (0.0000, 0.5000, 0.0000)
Br (0.0000, 0.5000, 0.5000)
Br (0.5000, 0.0000, 0.0000)
Br (0.5000, 0.0000, 0.5000)
Br (0.5000, 0.5000, 0.3294)
Br (0.5000, 0.5000, 0.6706)


# 3
Simulated powder X-ray diffraction pattern
Compound: ZnGaBr3
Radiation: Cu Kα (λ = 1.5418 Å)
Structure: a DFT-relaxed cell (PBE, Alexandria)
No peak broadening, texture or thermal motion is included.

Peak list (10 most intense, 10 to 90 degrees two-theta, sorted by position)
- 2θ 14.1, I 78
- 2θ 22.0, I 26
- 2θ 25.6, I 53
- 2θ 26.0, I 37
- 2θ 27.6, I 100
- 2θ 31.1, I 29
- 2θ 33.8, I 30
- 2θ 37.1, I 34
- 2θ 44.4, I 30
- 2θ 46.8, I 51

Cell and atoms:
Cell lengths 4.0808, 12.9963, 12.9963 Å; angles 149.39, 90.00, 90.00 degrees
Fractional coordinates of all 10 atoms:
Zn (0.2500, 0.1147, 0.8853)
Zn (0.7500, 0.8853, 0.1147)
Ga (0.2500, 0.3767, 0.7199)
Ga (0.7500, 0.7199, 0.3767)
Br (0.2500, 0.0823, 0.6714)
Br (0.2500, 0.4406, 0.2438)
Br (0.2500, 0.7735, 0.9194)
Br (0.7500, 0.2438, 0.4406)
Br (0.7500, 0.6714, 0.0823)
Br (0.7500, 0.9194, 0.7735)

=====

1.
Diffraction record for NdHf2Sc6. The powder XRD pattern is computed, not measured: it uses the GGA-PBE geometry in Alexandria and Cu Kα X-rays.
Neutral-atom scattering factors, no anomalous dispersion.

Top 10 peaks for 10° ≤ 2θ ≤ 80°, by angle:
2θ 11.05, I = 100; 2θ 31.32, I = 32; 2θ 32.22, I = 24; 2θ 33.31, I = 24; 2θ 33.57, I = 31; 2θ 34.78, I = 57; 2θ 36.60, I = 46; 2θ 38.73, I = 25; 2θ 55.75, I = 23; 2θ 66.67, I = 24

Atomic structure:
```
NdHf2Sc6
1.0
3.298 0.000 0.000
-1.649 2.856 0.000
0.000 0.000 24.028
Nd Hf Sc
1 2 6
direct
0.000 0.000 0.000
0.667 0.333 0.334
0.667 0.333 0.666
0.000 0.000 0.230
0.000 0.000 0.436
0.000 0.000 0.564
0.000 0.000 0.770
0.667 0.333 0.121
0.667 0.333 0.879
```



2.